Contents
____________
# K4O
Calculated PXRD pattern, Cu Kα (weighted mean of Kα1 and Kα2). Input: a DFT-relaxed cell (GGA-PBE, Alexandria).
No peak broadening, texture or thermal motion is included.

a = 8.2400 Å, b = 8.2114 Å, c = 9.6908 Å
α = 54.05°, β = 53.77°, γ = 72.18°
Positions (direct):
K: 0.0028 0.9972 0.8078
K: 0.0578 0.4422 0.2528
K: 0.4163 0.4187 0.7779
K: 0.4187 0.4163 0.3871
K: 0.4422 0.0578 0.2472
K: 0.4721 0.8629 0.8337
K: 0.8629 0.4721 0.8313
K: 0.9972 0.0028 0.1922
O: 0.1936 0.1936 0.8064
O: 0.4436 0.4436 0.0564

Most intense lines, 2θ from 10° to 80°, in order of rising 2θ:
13.35°, I 43; 25.94°, I 19; 26.07°, I 21; 26.88°, I 100; 29.14°, I 51; 35.31°, I 17; 37.11°, I 15; 44.28°, I 14

# KO
Calculated PXRD pattern, Cu Kα (weighted mean of Kα1 and Kα2). Input: a DFT-relaxed cell (GGA-PBE, Alexandria).
No peak broadening, texture or thermal motion is included.

a = 5.0945 Å, b = 6.9981 Å, c = 8.4734 Å
α = 90.00°, β = 90.00°, γ = 90.00°
Positions (direct):
K: 0.0948 0.1718 0.1248
K: 0.0948 0.3282 0.6248
K: 0.4052 0.6718 0.1248
K: 0.4052 0.8282 0.6248
K: 0.5948 0.1718 0.3752
K: 0.5948 0.3282 0.8752
K: 0.9052 0.6718 0.3752
K: 0.9052 0.8282 0.8752
O: 0.0826 0.0291 0.4286
O: 0.0826 0.4709 0.9286
O: 0.4174 0.5291 0.4286
O: 0.4174 0.9709 0.9286
O: 0.5826 0.0291 0.0714
O: 0.5826 0.4709 0.5714
O: 0.9174 0.5291 0.0714
O: 0.9174 0.9709 0.5714

Most intense lines, 2θ from 10° to 80°, in order of rising 2θ:
27.38°, I 23; 27.58°, I 60; 30.26°, I 100; 37.58°, I 44; 37.73°, I 24; 41.07°, I 23; 42.68°, I 22; 44.01°, I 49

=====

Record 1
Cs3BiSb: calculated powder diffractogram (CuKα), based on DFT lattice parameters and positions (PBE).
Kinematic intensities with the Lorentz-polarization factor, no thermal factor.

Structure:
Cell: 7.651 7.174 19.508 Å, 90.00 105.41 90.00°
Space group P2/c (No. 13)
Inequivalent atoms, fractional coordinates:
Cs  0.007  0.158  0.376 x4
Cs  0.292  0.449  0.785 x4
Cs  0.327  0.249  0.996 x4
Bi  0.240  0.278  0.589 x4
Sb  0.496  0.015  0.176 x4

The 12 most intense peaks (5 to 70 degrees two-theta), sorted by position:
(1 0 -2), 2θ = 13.15°, I = 269
(1 0 4), 2θ = 25.02°, I = 316
(0 2 1), 2θ = 25.28°, I = 157
(2 1 -1), 2θ = 26.46°, I = 461
(1 1 -5), 2θ = 26.62°, I = 1000
(2 1 0), 2θ = 27.19°, I = 305
(2 1 -3), 2θ = 27.55°, I = 302
(1 0 -6), 2θ = 27.81°, I = 162
(1 2 2), 2θ = 30.32°, I = 264
(1 1 5), 2θ = 31.98°, I = 145
(1 1 -7), 2θ = 34.69°, I = 144
(1 2 -8), 2θ = 45.00°, I = 127



Record 2
CsBiSbSe3: calculated powder diffractogram (CuKα), based on DFT lattice parameters and positions (PBE).
Kinematic intensities with the Lorentz-polarization factor, no thermal factor.

Structure:
Cell: 9.161 4.545 11.796 Å, 90.00 112.34 90.00°
Space group P2_1/m (No. 11)
Inequivalent atoms, fractional coordinates:
Cs  0.033  0.250  0.266 x2
Bi  0.473  0.750  0.846 x2
Sb  0.421  0.250  0.549 x2
Se  0.256  0.750  0.580 x2
Se  0.302  0.250  0.902 x2
Se  0.356  0.750  0.233 x2

The 12 most intense peaks (5 to 70 degrees two-theta), sorted by position:
(1 0 0), 2θ = 10.45°, I = 1000
(0 1 1), 2θ = 21.15°, I = 243
(1 1 -2), 2θ = 25.10°, I = 415
(2 1 -2), 2θ = 28.91°, I = 871
(1 0 3), 2θ = 30.20°, I = 442
(2 1 1), 2θ = 32.15°, I = 269
(3 1 -2), 2θ = 35.69°, I = 271
(0 2 0), 2θ = 39.66°, I = 271
(3 1 1), 2θ = 41.07°, I = 272
(1 1 -5), 2θ = 43.53°, I = 424
(1 2 3), 2θ = 50.65°, I = 217
(4 1 1), 2θ = 51.08°, I = 214



Record 3
CsSn2BiSb: calculated powder diffractogram (CuKα), based on DFT lattice parameters and positions (PBE).
Kinematic intensities with the Lorentz-polarization factor, no thermal factor.

Structure:
Cell: 8.426 4.561 11.884 Å, 90.00 110.41 90.00°
Space group P2_1/m (No. 11)
Inequivalent atoms, fractional coordinates:
Cs  0.173  0.250  0.236 x2
Sn  0.097  0.250  0.633 x2
Sn  0.423  0.750  0.859 x2
Bi  0.282  0.750  0.566 x2
Sb  0.240  0.250  0.916 x2

The 12 most intense peaks (5 to 70 degrees two-theta), sorted by position:
(1 0 -1), 2θ = 11.25°, I = 291
(2 0 -1), 2θ = 21.07°, I = 149
(1 1 -1), 2θ = 22.53°, I = 459
____________

Brief
Duplicate the entries earlier on with every line break kept.

Reply
# K4O
Calculated PXRD pattern, Cu Kα (weighted mean of Kα1 and Kα2). Input: a DFT-relaxed cell (GGA-PBE, Alexandria).
No peak broadening, texture or thermal motion is included.

a = 8.2400 Å, b = 8.2114 Å, c = 9.6908 Å
α = 54.05°, β = 53.77°, γ = 72.18°
Positions (direct):
K: 0.0028 0.9972 0.8078
K: 0.0578 0.4422 0.2528
K: 0.4163 0.4187 0.7779
K: 0.4187 0.4163 0.3871
K: 0.4422 0.0578 0.2472
K: 0.4721 0.8629 0.8337
K: 0.8629 0.4721 0.8313
K: 0.9972 0.0028 0.1922
O: 0.1936 0.1936 0.8064
O: 0.4436 0.4436 0.0564

Most intense lines, 2θ from 10° to 80°, in order of rising 2θ:
13.35°, I 43; 25.94°, I 19; 26.07°, I 21; 26.88°, I 100; 29.14°, I 51; 35.31°, I 17; 37.11°, I 15; 44.28°, I 14

# KO
Calculated PXRD pattern, Cu Kα (weighted mean of Kα1 and Kα2). Input: a DFT-relaxed cell (GGA-PBE, Alexandria).
No peak broadening, texture or thermal motion is included.

a = 5.0945 Å, b = 6.9981 Å, c = 8.4734 Å
α = 90.00°, β = 90.00°, γ = 90.00°
Positions (direct):
K: 0.0948 0.1718 0.1248
K: 0.0948 0.3282 0.6248
K: 0.4052 0.6718 0.1248
K: 0.4052 0.8282 0.6248
K: 0.5948 0.1718 0.3752
K: 0.5948 0.3282 0.8752
K: 0.9052 0.6718 0.3752
K: 0.9052 0.8282 0.8752
O: 0.0826 0.0291 0.4286
O: 0.0826 0.4709 0.9286
O: 0.4174 0.5291 0.4286
O: 0.4174 0.9709 0.9286
O: 0.5826 0.0291 0.0714
O: 0.5826 0.4709 0.5714
O: 0.9174 0.5291 0.0714
O: 0.9174 0.9709 0.5714

Most intense lines, 2θ from 10° to 80°, in order of rising 2θ:
27.38°, I 23; 27.58°, I 60; 30.26°, I 100; 37.58°, I 44; 37.73°, I 24; 41.07°, I 23; 42.68°, I 22; 44.01°, I 49

=====

Record 1
Cs3BiSb: calculated powder diffractogram (CuKα), based on DFT lattice parameters and positions (PBE).
Kinematic intensities with the Lorentz-polarization factor, no thermal factor.

Structure:
Cell: 7.651 7.174 19.508 Å, 90.00 105.41 90.00°
Space group P2/c (No. 13)
Inequivalent atoms, fractional coordinates:
Cs  0.007  0.158  0.376 x4
Cs  0.292  0.449  0.785 x4
Cs  0.327  0.249  0.996 x4
Bi  0.240  0.278  0.589 x4
Sb  0.496  0.015  0.176 x4

The 12 most intense peaks (5 to 70 degrees two-theta), sorted by position:
(1 0 -2), 2θ = 13.15°, I = 269
(1 0 4), 2θ = 25.02°, I = 316
(0 2 1), 2θ = 25.28°, I = 157
(2 1 -1), 2θ = 26.46°, I = 461
(1 1 -5), 2θ = 26.62°, I = 1000
(2 1 0), 2θ = 27.19°, I = 305
(2 1 -3), 2θ = 27.55°, I = 302
(1 0 -6), 2θ = 27.81°, I = 162
(1 2 2), 2θ = 30.32°, I = 264
(1 1 5), 2θ = 31.98°, I = 145
(1 1 -7), 2θ = 34.69°, I = 144
(1 2 -8), 2θ = 45.00°, I = 127



Record 2
CsBiSbSe3: calculated powder diffractogram (CuKα), based on DFT lattice parameters and positions (PBE).
Kinematic intensities with the Lorentz-polarization factor, no thermal factor.

Structure:
Cell: 9.161 4.545 11.796 Å, 90.00 112.34 90.00°
Space group P2_1/m (No. 11)
Inequivalent atoms, fractional coordinates:
Cs  0.033  0.250  0.266 x2
Bi  0.473  0.750  0.846 x2
Sb  0.421  0.250  0.549 x2
Se  0.256  0.750  0.580 x2
Se  0.302  0.250  0.902 x2
Se  0.356  0.750  0.233 x2

The 12 most intense peaks (5 to 70 degrees two-theta), sorted by position:
(1 0 0), 2θ = 10.45°, I = 1000
(0 1 1), 2θ = 21.15°, I = 243
(1 1 -2), 2θ = 25.10°, I = 415
(2 1 -2), 2θ = 28.91°, I = 871
(1 0 3), 2θ = 30.20°, I = 442
(2 1 1), 2θ = 32.15°, I = 269
(3 1 -2), 2θ = 35.69°, I = 271
(0 2 0), 2θ = 39.66°, I = 271
(3 1 1), 2θ = 41.07°, I = 272
(1 1 -5), 2θ = 43.53°, I = 424
(1 2 3), 2θ = 50.65°, I = 217
(4 1 1), 2θ = 51.08°, I = 214



Record 3
CsSn2BiSb: calculated powder diffractogram (CuKα), based on DFT lattice parameters and positions (PBE).
Kinematic intensities with the Lorentz-polarization factor, no thermal factor.

Structure:
Cell: 8.426 4.561 11.884 Å, 90.00 110.41 90.00°
Space group P2_1/m (No. 11)
Inequivalent atoms, fractional coordinates:
Cs  0.173  0.250  0.236 x2
Sn  0.097  0.250  0.633 x2
Sn  0.423  0.750  0.859 x2
Bi  0.282  0.750  0.566 x2
Sb  0.240  0.250  0.916 x2

The 12 most intense peaks (5 to 70 degrees two-theta), sorted by position:
(1 0 -1), 2θ = 11.25°, I = 291
(2 0 -1), 2θ = 21.07°, I = 149
(1 1 -1), 2θ = 22.53°, I = 459